• To do:
Your job: search the contents underneath for the word "relaxed" and restate each line that has it.

• Contents:
'''
# MgNi3H
Calculated X-ray diffraction stick pattern, Cu Kα. Input: a cell relaxed with GGA-PBE.
No peak broadening, texture or thermal motion is included.

```
data_MgNi3H
_chemical_formula_sum 'Mg4 Ni12 H4'
_cell_length_a 4.777
_cell_length_b 6.357
_cell_length_c 7.211
_cell_angle_alpha 90.00
_cell_angle_beta 90.00
_cell_angle_gamma 90.00
_symmetry_space_group_name_H-M 'I m m a'
_symmetry_Int_Tables_number 74
_symmetry_space_group_name_Hall '-I 2b 2'
loop_
_atom_site_label
_atom_site_fract_x
_atom_site_fract_y
_atom_site_fract_z
Mg1 0.000 0.000 0.000
Ni1 0.000 0.072 0.348
Ni2 0.250 0.250 0.750
H1 0.000 0.250 0.568
```

Largest 12 diffraction maxima, sorted by position, 2θ = 10–80°:
- 22.33 deg, d 3.982, intensity 59
- 24.69 deg, d 3.605, intensity 59
- 34.20 deg, d 2.622, intensity 41
- 37.70 deg, d 2.386, intensity 47
- 40.11 deg, d 2.248, intensity 30
- 42.08 deg, d 2.147, intensity 94
- 42.32 deg, d 2.135, intensity 100
- 44.57 deg, d 2.033, intensity 100
- 47.63 deg, d 1.909, intensity 83
- 51.36 deg, d 1.779, intensity 48
- 53.72 deg, d 1.706, intensity 56
- 64.80 deg, d 1.439, intensity 21
'''

• Worked solution:
Calculated X-ray diffraction stick pattern, Cu Kα. Input: a cell relaxed with GGA-PBE.